Agenda item

-- The piece is interrupted by records of molecules --
- - -
Entry 1:
The following is a quantum chemistry calculation of a structure of composition C27H16F6N5O8RuS2, from OMol25.

- Relative energy (zero: lowest compared OMol25 entry of this formula, charge and spin): 0.8172 eV
- Spin multiplicity: 6
- E_LUMO (spin up / spin down): -0.803 / -2.823 eV
- Charge: 0
- Highest occupied orbital energy (spin up / spin down): -6.0 / -9.1 eV

Positions of all 65 atoms, in Å:
1 Ru -0.2161 -0.4749 0.0376
2 C -0.4744 0.1666 -4.3029
3 C -0.8349 -0.0045 -2.9546
4 N 0.0500 -0.0141 -1.9847
5 C 1.3877 0.1364 -2.2773
6 C 1.8210 0.2933 -3.5987
7 C 0.8405 0.3147 -4.6155
8 C 3.2100 0.3830 -3.8690
9 C 4.0990 0.2691 -2.8455
10 C 3.6676 0.1076 -1.5116
11 C 2.3304 0.0898 -1.1969
12 N 1.7663 -0.0305 0.0642
13 C 2.2776 0.1322 1.3001
14 C 3.5968 0.6461 1.6202
15 C 3.9838 0.7125 2.9158
16 C 3.1144 0.3072 3.9621
17 C 1.7927 -0.1202 3.7141
18 C 0.8751 -0.4663 4.7126
19 C -0.4427 -0.8565 4.3440
20 C -0.8028 -0.8640 3.0443
21 N 0.0940 -0.5193 2.0392
22 C 1.3758 -0.1804 2.3587
23 H -1.2440 0.1712 -5.0611
24 H -1.8720 -0.1245 -2.6684
25 H 1.1538 0.4406 -5.6453
26 H 3.5464 0.5083 -4.8901
27 H 5.1616 0.2952 -3.0494
28 H 4.4108 -0.0471 -0.7464
29 H 4.2470 1.0226 0.8490
30 H 4.9642 1.0989 3.1589
31 H 3.4510 0.3673 4.9899
32 H 1.1770 -0.4289 5.7505
33 H -1.1683 -1.1350 5.0947
34 H -1.7896 -1.1428 2.7074
35 F -4.4485 0.7873 2.0878
36 C -4.7706 0.7121 0.8027
37 F -5.6712 1.6409 0.5210
38 F -5.2739 -0.4898 0.5429
39 S -3.2810 0.9368 -0.2414
40 O -2.3655 -0.0725 0.3140
41 O -3.6939 0.7271 -1.5966
42 N -2.9110 2.4152 0.0846
43 S -1.4617 2.9754 0.3268
44 O -1.3413 4.3117 -0.1460
45 O -0.4252 2.0192 -0.0313
46 C -1.3631 3.0922 2.1529
47 F -2.2211 4.0030 2.5948
48 F -0.1246 3.4472 2.4913
49 F -1.6441 1.9218 2.7173
50 O -0.8591 -2.6457 0.4469
51 C 0.0235 -3.1640 -0.2937
52 O 0.7824 -2.4621 -1.0044
53 C 0.1568 -4.6552 -0.2965
54 C 1.2500 -5.2666 -0.8972
55 C 1.3729 -6.6490 -0.8857
56 C 0.3968 -7.4287 -0.2834
57 C -0.6815 -6.7931 0.3010
58 C -0.8238 -5.4223 0.3159
59 N -1.7314 -7.6236 0.9433
60 O -2.6272 -7.0454 1.5202
61 O -1.5685 -8.8266 0.9439
62 H 1.9944 -4.6417 -1.3731
63 H 2.2274 -7.1245 -1.3478
64 H 0.4581 -8.5067 -0.2602
65 H -1.6727 -4.9560 0.7937


Entry 2:
The following is a quantum chemistry calculation of a structure of composition C27H17BrF2N4O2Se2W, from OMol25.

- Relative energy (zero: lowest compared OMol25 entry of this formula, charge and spin): 3.5431 eV
- Spin multiplicity: 3
- E_LUMO (spin up / spin down): -8.315 / -8.517 eV
- Charge: +2
- Highest occupied orbital energy (spin up / spin down): -14.0 / -14.1 eV

Positions of all 56 atoms, in Å:
1 W -0.0756 0.2924 -0.4138
2 F -3.9038 0.9830 3.5573
3 C -2.9392 1.5773 2.8665
4 C -2.2184 0.8246 1.9416
5 C -1.1935 1.3761 1.1629
6 C -0.9314 2.7672 1.3539
7 C -1.6416 3.4815 2.3321
8 F -1.3246 4.7486 2.6068
9 C -2.6525 2.9115 3.0844
10 C 0.1290 3.3942 0.5486
11 C 0.2854 4.7742 0.4011
12 C 1.3909 5.2778 -0.2603
13 C 2.3478 4.3917 -0.7384
14 C 2.0894 3.0405 -0.6441
15 N 0.9871 2.5281 -0.0622
- - -
-- End of the records of molecules --


Following last years scrutiny review, an Action Plan is attached providing an update on recommendations


Further to Minute OSC.893(2) of the meeting of this Committee held on 26 March 2013, Councillor Southworth, Deputy Cabinet Member for the Environment,  attended the meeting to provide an update on progress in respect of the following recommendations:


                             i. That this Group recognises and congratulates the hard work that has been undertaken by the Council Employees across the authority and the residents of the Borough to reduce the amount of residual waste being sent to landfill and to increase the amount of waste being recycled. 

[1]
Formula: C6H14O
Source: OMol25
Level of theory: wB97M-V/def2-TZVPD

Each line ends with the Mulliken charge.
CARTESIAN COORDINATES (ANGSTROEM)
C (1.7720, 2.9005, -0.3192)  -1.221
C (1.5858, 1.4377, 0.0903)  -0.297
C (0.7502, 0.5430, -0.9419)  -0.688
C (-0.6740, 1.1979, -1.1933)  -0.503
C (-2.2166, -0.1383, 0.2785)  -0.973
C (-1.3808, 0.9017, 0.1340)  -0.033
H (0.9425, 3.3503, -0.6140)  0.447
H (2.2741, 2.8516, -1.3252)  0.293
H (2.3464, 3.4362, 0.4260)  0.324
H (2.6623, 0.9609, 0.1837)  0.267
H (1.0741, 1.2748, 1.0938)  0.286
H (0.6281, -0.5284, -0.6890)  0.324
H (1.3013, 0.5517, -1.9195)  0.317
H (-1.1596, 0.8706, -2.0464)  0.462
H (-0.5504, 2.3662, -1.2344)  0.071
H (-2.4828, -0.7841, -0.4596)  0.348
H (-2.6929, -0.2054, 1.2279)  0.267
H (-1.2649, 1.5537, 1.0102)  0.311
H (-0.8029, -5.3237, 2.1174)  0.305
H (0.5200, -5.2531, 1.4557)  0.304
O (-0.2268, -5.7720, 1.5605)  -0.610

Forces on the atoms, in the same order (eV/Å):
3.645 -3.067 -0.621
0.552 -2.574 0.618
0.577 1.642 -1.481
2.391 2.295 4.023
1.289 2.963 1.946
-1.476 -0.581 -1.039
-4.008 2.276 -0.332
0.395 0.218 1.031
0.053 0.274 -0.154
-2.124 0.814 -0.051
0.803 0.561 -1.020
0.139 0.736 0.331
-0.250 0.016 0.681
-1.031 -0.878 -1.493
-0.261 -2.289 -0.343
-0.587 -1.771 -2.099
-0.389 -0.508 0.592
0.283 -0.132 -0.588
-1.548 1.296 1.543
2.205 1.603 -0.272
-0.657 -2.895 -1.272

Properties
- Structure (SMILES): C=CCCCC.O
- HOMO level: -9.464 eV
- ΔE to the lowest compared entry with this formula, charge and spin: 53.8 kcal per mole
- Lowest unoccupied orbital energy: 0.769 eV
- Kohn-Sham gap: 0.3761 Ha
- F_max: 5.21 eV/A

***

[2]
Formula: C6H14O
Source: OMol25
Level of theory: wB97M-V/def2-TZVPD

Each line ends with the Mulliken charge.
CARTESIAN COORDINATES (ANGSTROEM)
C (2.2403, 1.5356, -1.7604)  -0.791
C (-0.5592, 1.8612, -1.3063)  -0.983
C (-0.9278, 0.6538, -0.8923)  -0.325
C (-0.8309, 0.1930, 0.5393)  -0.435
C (-0.5417, -1.3010, 0.7027)  -0.511
C (-0.5890, -1.7298, 2.1597)  -0.525
O (-0.3899, -3.1290, 2.2154)  -0.503
H (2.0358, 2.6055, -1.8928)  0.243
H (2.6108, 1.1260, -2.7003)  0.298
H (2.9646, 1.4084, -0.9563)  0.276
H (-0.1115, 2.5862, -0.6266)  0.378
H (-0.5726, 2.1488, -2.3551)  0.340
H (-1.2927, -0.0672, -1.6252)  0.311
H (1.3276, 1.0024, -1.4902)  0.034
H (-1.7795, 0.4223, 1.0457)  0.387
H (-0.0601, 0.7839, 1.0552)  0.306
H (-1.2851, -1.8900, 0.1506)  0.319
H (0.4401, -1.5626, 0.2882)  0.266
H (0.1868, -1.1942, 2.7319)  0.308
H (-1.5649, -1.4489, 2.5906)  0.303
H (-0.4207, -3.3992, 3.1406)  0.305

Forces on the atoms, in the same order (eV/Å):
0.164 -0.103 -0.009
-0.412 -0.087 0.093
-0.144 0.242 -0.038
-0.048 0.049 0.099
-0.015 -0.042 -0.049
-0.058 0.467 -0.080
0.016 -0.176 0.272
-0.030 -0.303 0.054
0.203 0.035 0.090
0.173 0.003 -0.158
-0.230 -0.133 -0.050
-0.196 -0.079 0.180
-0.047 0.084 0.146
0.658 0.244 -0.175
0.085 -0.061 -0.038
-0.137 -0.076 -0.079
0.081 0.088 0.055
-0.131 0.082 0.035
-0.100 -0.110 -0.095
0.146 -0.090 -0.073
0.024 -0.034 -0.180

Properties
Here the page continues:


                            ii. That Ward Councillors are encouraged to become ‘Recycling Champions’ in their areas by promoting recycling wherever possible and work with the Waste Management Section to identify solutions for specific areas.


                          iii. That, to assist with ongoing work in relation to contaminated bins, all new bins are numbered by the Council before being delivered to properties and households where the bins are not numbered are encouraged to do so.

Misplaced quantum chemistry results =
=====
This record from OMol25 describes a molecular structure, C14H26AlBNO3 at a distorted geometry. The level of theory is wB97M-V/def2-TZVPD.

Orbital gap   0.2812 Ha
LUMO energy   2.995 eV
Maximum force   3.2 eV/A
Charge   -1
2S+1   1

Each line ends with the natural charge from an NBO analysis.
Cartesian coordinates (Å):
C 5.381 0.614 1.849  -0.254
O 4.484 1.722 2.035  -0.784
B 3.588 1.867 0.910  0.622
O 3.770 3.031 0.104  -0.965
Al 2.116 0.414 0.602  1.540
N 2.448 -0.977 1.908  -1.396
O 0.416 1.094 1.056  -0.942
C -0.517 0.358 0.287  -0.052
C -1.977 0.336 0.940  -0.238
C -2.422 1.848 1.026  -0.629
C -2.863 -0.526 -0.049  -0.402
C -4.405 -0.539 0.287  -0.209
C -4.673 -0.822 1.821  -0.623
C -5.196 0.726 -0.274  -0.621
C 2.181 -0.467 -1.236  -0.484
C 3.046 -1.658 -1.395  -0.242
C 3.114 -2.369 -2.668  -0.237
C 2.347 -1.980 -3.851  -0.262
C 1.514 -0.781 -3.711  -0.235
C 1.440 -0.064 -2.434  -0.237
H 5.263 -0.176 2.645  0.187
H 5.194 0.132 0.852  0.178
H 6.440 0.985 1.953  0.158
H 4.664 3.036 -0.289  0.479
H 2.078 -0.587 2.788  0.353
H 1.762 -1.718 1.688  0.341
H -0.243 -0.737 0.165  0.152
H -0.667 0.859 -0.719  0.137
H -1.944 -0.088 1.983  0.196
H -3.343 1.991 1.646  0.188
H -1.595 2.525 1.367  0.245
H -2.642 2.166 -0.037  0.186
H -2.690 -0.079 -1.071  0.204
H -2.482 -1.587 -0.030  0.208
H -4.839 -1.419 -0.273  0.188
H -5.481 -1.606 1.879  0.202
H -3.745 -1.316 2.225  0.215
H -4.925 0.101 2.393  0.206
H -4.535 1.333 -0.956  0.212
H -5.465 1.406 0.572  0.202
H -6.086 0.418 -0.874  0.202
H 3.642 -2.022 -0.531  0.219
H 3.778 -3.259 -2.751  0.193
H 2.371 -2.534 -4.815  0.203
H 0.922 -0.482 -4.610  0.196
H 0.777 0.830 -2.409  0.202

This record from OMol25 describes a gas-phase ion, C3H6N3 (charge +1) at a distorted geometry. The level of theory is wB97M-V/def2-TZVPD.

Orbital gap (alpha / beta)   0.3043 / 0.3043 Ha
SMILES   C#[N+]/C=N\CN
LUMO energy (alpha / beta)   -5.721 / -5.721 eV
Maximum force   7.1 eV/A
Energy above the lowest of the compared OMol25 structures with the same formula, charge and spin   421.2 kJ/mol
Charge   +1
2S+1   1

Each line ends with the natural charge from an NBO analysis.
Cartesian coordinates (Å):
C -1.465 0.085 1.883  0.433
N -0.816 -0.002 0.927  -0.237
C -0.702 0.967 0.008  0.124
N 0.000 0.970 -1.037  -0.229
C 1.019 -0.137 -1.230  -0.117
N 0.809 -1.103 -0.224  -0.802
H -2.203 0.114 2.643  0.291
H -1.157 1.841 0.233  0.216
H 0.976 -0.323 -2.340  0.250
H 1.813 0.533 -1.071  0.238
H 0.276 -1.910 -0.409  0.413
H 1.449 -1.037 0.618  0.419

This record from OMol25 describes a molecular structure, C10H25ClIN2P2Ru at a distorted geometry. The level of theory is wB97M-V/def2-TZVPD.

Orbital gap (alpha / beta)   0.2295 / 0.1917 Ha
LUMO energy (alpha / beta)   -12.316 / -14.216 eV
⟨S²⟩   6.050
Maximum force   6.3 eV/A
Energy above the lowest of the compared OMol25 structures with the same formula, charge and spin   0.0 kJ/mol
Charge   +3
2S+1   5

Each line ends with the Löwdin spin population.
Cartesian coordinates (Å):
=====


                          iv. That the use of enforcement in relation to contaminated bins be considered – this would only be as a last resort and for repeat offenders.


                           v. That all waste operatives are regularly reminded to use the software correctly as this may assist to reduce the number of complaints received and the number of missed collections.


                          vi. That  Members should receive regular reports setting out targets versus actuals and highlighting where improvements need to be made and how this can be done.


                         vii. That the possibility of carrying out specific exception reporting or analytical research is considered to look at trends and highlight where improvements can be made.


                       viii. That complaints relating to missed bin collections are monitored by area to highlight any patterns.


                          ix. That something similar to the interactive games that were used on the visit to the recycling centre should be developed locally to be rolled out to schools across the borough. This would help to educate the young people within the borough who would then pass this on to the rest of their families.


                           x.  That all Councillors are encouraged to attend a visit to the Customer Contact Centre.


                          xi.  That all funding opportunities in relation to the promotion of recycling are researched and applied for.


Questions and comments were invited and the following issues were raised:


·         Members of the Committee referred to the plans to enhance the Educational and Regulatory Team through the appointment of 8 new posts. The role of the new staff was explained and it was reported that the 2 year pilot scheme had been approved as an invest to save opportunity, with posts ultimately funded through savings achieved from diverting waste from landfill.


·         With regard to the issue of enforcement, the Head of Waste Management stressed that the issuing of Fixed Penalty Notices would be a last resort and efforts would continue to educate and engage with residents in order to encourage increased levels of recycling. Councillor Cummings requested that future updates include examples of enforcement actions by other Authorities, with an analysis of whether they had been successful.


·         Councillor Fitzwalter highlighted the importance of maximizing recycling from schools and other commercial waste streams.


·         Councillor Nuttall referred to the difficulties of recycling certain products due to the packaging and highlighted that manufacturers should be encouraged to package products in materials that are readily recyclable.


It was agreed:


1.  That this Committee acknowledges the good progress made implementing the recommendations from the Recycling Overview Project Group.


2.  That a further update report be submitted before the end of the Municipal Year.


Supporting documents: